## Contents
********
CePr2Pa2Ru5 | GGA-PBE | relaxed

Cell: 10.763 10.763 3.707 Å, 90.00 90.00 90.00°
Sites, in units of the cell vectors:
Ce 0.000 0.000 0.000
Ce 0.500 0.500 0.000
Pr 0.174 0.326 0.000
Pr 0.326 0.826 0.000
Pr 0.674 0.174 0.000
Pr 0.826 0.674 0.000
Pa 0.135 0.635 0.000
Pa 0.365 0.135 0.000
Pa 0.635 0.865 0.000
Pa 0.865 0.365 0.000
Ru 0.000 0.500 0.500
Ru 0.055 0.798 0.500
Ru 0.202 0.055 0.500
Ru 0.298 0.555 0.500
Ru 0.445 0.298 0.500
Ru 0.500 0.000 0.500
Ru 0.555 0.702 0.500
Ru 0.702 0.445 0.500
Ru 0.798 0.945 0.500
Ru 0.945 0.202 0.500

## Properties
ρ   10.74 Mg/m³
Total DFT energy (no corrections)   -8.363 eV per atom
Volume   429 Å³/cell
Energy relative to the elements   -0.28 eV/atom

Ce2PrPaSe4 | GGA-PBE | relaxed

Cell: 7.227 4.168 7.265 Å, 90.00 109.33 90.00°
Sites, in units of the cell vectors:
Ce 0.000 0.000 0.000
Ce 0.000 0.500 0.500
Pr 0.500 0.000 0.500
Pa 0.500 0.500 0.000
Se 0.250 0.500 0.244
Se 0.254 0.000 0.756
Se 0.746 0.000 0.244
Se 0.750 0.500 0.756

## Properties
ρ   7.78 Mg/m³
Total DFT energy (no corrections)   -6.667 eV per atom
Volume   206 Å³/cell

CePrThPa | GGA-PBE | relaxed

Cell: 7.819 7.819 7.819 Å, 90.00 90.00 90.00°
Sites, in units of the cell vectors:
Ce 0.000 0.000 0.000
Ce 0.000 0.500 0.500
Ce 0.500 0.000 0.500
Ce 0.500 0.500 0.000
Pr 0.250 0.250 0.750
Pr 0.250 0.750 0.250
Pr 0.750 0.250 0.250
Pr 0.750 0.750 0.750
Th 0.000 0.000 0.500
Th 0.000 0.500 0.000
Th 0.500 0.000 0.000
Th 0.500 0.500 0.500
Pa 0.250 0.250 0.250
Pa 0.250 0.750 0.750
Pa 0.750 0.250 0.750
Pa 0.750 0.750 0.250

## Properties
ρ   10.34 Mg/m³
Total DFT energy (no corrections)   -6.552 eV per atom
Volume   478 Å³/cell
Energy relative to the elements   0.36 eV/atom

CePa2Pt | GGA-PBE | relaxed

Cell: 3.611 3.611 7.529 Å, 90.00 90.00 90.00°
Sites, in units of the cell vectors:
Ce 0.000 0.000 0.000
Pa 0.500 0.500 0.292
Pa 0.500 0.500 0.708
Pt 0.000 0.000 0.500

## Properties
ρ   13.48 Mg/m³
Total DFT energy (no corrections)   -8.043 eV per atom
Volume   98 Å³/cell
Energy relative to the elements   -0.30 eV/atom
Energy relative to the lowest polymorph listed for this composition   69 meV/atom

CePaPt4 | GGA-PBE | relaxed

Cell: 5.470 5.470 5.470 Å, 60.00 60.00 60.00°
Sites, in units of the cell vectors:
Ce 0.000 0.000 0.000
Pa 0.250 0.250 0.250
Pt 0.125 0.625 0.625
Pt 0.625 0.125 0.625
Pt 0.625 0.625 0.125
Pt 0.625 0.625 0.625

## Properties
ρ   16.52 Mg/m³
Total DFT energy (no corrections)   -7.506 eV per atom
Volume   116 Å³/cell
Energy relative to the elements   -0.91 eV/atom

CePaPt6 | GGA-PBE | relaxed

Cell: 4.186 4.186 8.357 Å, 90.00 90.00 90.00°
Sites, in units of the cell vectors:
Ce 0.000 0.000 0.000
Pa 0.000 0.000 0.500
Pt 0.000 0.500 0.256
Pt 0.000 0.500 0.744
Pt 0.500 0.000 0.256
Pt 0.500 0.000 0.744
Pt 0.500 0.500 0.000
Pt 0.500 0.500 0.500

## Properties
ρ   17.48 Mg/m³
Total DFT energy (no corrections)   -7.431 eV per atom
Volume   146 Å³/cell
Energy relative to the elements   -0.97 eV/atom

CePaPt | GGA-PBE | relaxed

Cell: 3.388 14.224 5.468 Å, 90.00 90.00 90.00°
Sites, in units of the cell vectors:
Ce 0.000 0.234 0.250
Ce 0.000 0.766 0.750
Ce 0.500 0.266 0.750
Ce 0.500 0.734 0.250
Pa 0.000 0.435 0.750
********
## What to do
Now work out how many lines further up have the word "composition" in them; a number is enough.
## Here it is
1